**Listing**
~~~
#i
C27H20CeClF6N6O18S | ωB97M-V/def2-TZVPD

* multiplicity: 2
* total charge: -2

Each line ends with the Löwdin charge.
Atoms and positions in Å:
Ce1 0.26 -0.25 -0.35  1.3398
O1 3.46 2.36 -3.02  -0.4574
Cl1 2.23 1.56 -2.97  0.9443
O2 2.69 0.27 -3.55  -0.4726
O3 1.50 -1.66 -2.37  0.0140
O4 2.02 1.18 -1.52  -0.5486
N1 3.93 -0.79 1.37  0.1437
C1 3.87 -1.31 0.08  -0.2641
C2 5.06 -1.79 -0.47  -0.0104
C3 5.00 -2.30 -1.75  -0.0611
C4 3.80 -2.39 -2.39  -0.0066
C5 2.69 -1.80 -1.80  -0.4205
N2 2.73 -1.26 -0.59  0.1335
C6 2.99 -0.28 2.23  -0.2931
C7 3.38 -0.24 3.54  -0.0406
C8 2.67 0.47 4.44  -0.0924
C9 1.62 1.24 4.02  -0.0650
C10 1.22 1.06 2.70  -0.1122
N3 1.90 0.35 1.78  0.1178
H1 4.76 -1.06 1.90  0.1373
H2 5.95 -1.86 0.08  0.0884
H3 5.88 -2.72 -2.21  0.1063
H4 3.75 -2.85 -3.34  0.1141
H5 1.70 -1.02 -3.12  0.1023
H6 4.24 -0.84 3.81  0.1163
H7 2.95 0.56 5.50  0.1124
H8 0.98 1.85 4.70  0.1181
H9 0.38 1.63 2.33  0.0968
O5 -4.57 -0.99 -4.72  0.0618
C11 -3.60 -0.94 -3.97  -0.2444
C12 -2.44 0.07 -4.09  -0.2819
O6 -2.21 0.90 -4.97  0.0671
C13 -1.66 -0.16 -2.88  -0.3123
C14 -2.16 -1.23 -2.10  -0.3307
O7 -1.62 -1.57 -1.01  -0.1334
C15 -3.39 -1.73 -2.67  -0.2747
O8 -4.18 -2.53 -2.12  0.0259
O9 -0.67 0.56 -2.51  -0.1111
C16 -3.53 -1.43 1.53  -0.2277
S1 -2.49 -0.65 2.81  0.9048
C17 -3.59 0.83 3.13  -0.2085
O10 -1.33 -0.02 2.08  -0.5766
H10 -4.31 -1.96 2.06  0.0466
H11 -2.80 -2.02 0.94  0.0461
H12 -3.93 -0.71 0.78  0.0657
H13 -4.24 0.54 3.91  0.0174
H14 -4.15 1.13 2.28  0.0097
H15 -2.85 1.58 3.45  0.0590
O11 -2.34 7.48 -2.67  0.0356
N4 -3.03 6.59 -2.17  -0.3489
O12 -4.28 6.64 -2.20  0.0183
C18 -2.37 5.42 -1.63  -0.1339
C19 -1.02 5.56 -1.31  0.0735
C20 -0.35 4.55 -0.67  -0.0643
C21 -0.94 3.23 -0.39  -0.2422
O13 -0.27 2.26 -0.01  -0.0808
C22 -2.38 3.23 -0.62  -0.0339
C23 -3.11 4.27 -1.20  0.1154
N5 -3.12 2.07 -0.20  -0.2912
O14 -2.57 0.98 -0.31  0.0735
O15 -4.28 2.20 0.16  0.0575
N6 1.03 4.71 -0.34  -0.3229
O16 1.47 4.24 0.74  0.0674
O17 1.67 5.33 -1.18  0.0789
H16 -0.41 6.41 -1.52  0.1225
H17 -4.15 4.19 -1.35  0.1170
C24 -0.51 -4.38 0.06  0.0224
C25 0.42 -3.61 1.00  -0.4646
O18 0.44 -2.29 0.80  -0.2533
C26 1.86 -4.24 0.85  -0.5373
F1 2.76 -3.53 1.52  0.1568
F2 2.26 -4.33 -0.44  0.1474
F3 1.95 -5.50 1.32  0.1235
C27 0.02 -3.86 2.49  -0.5176
F4 -0.98 -3.09 2.81  0.1369
F5 -0.41 -5.14 2.71  0.1033
F6 0.99 -3.57 3.43  0.1096
H18 -0.41 -3.96 -0.91  0.0717
H19 -1.60 -4.20 0.30  0.1167
H20 -0.26 -5.46 -0.03  0.1000


#ii
C27H20CeClF6N6O18S | ωB97M-V/def2-TZVPD

* multiplicity: 2
* total charge: -2

Each line ends with the Löwdin charge.
Atoms and positions in Å:
Ce1 -0.46 0.46 -0.17  1.3710
O1 -0.41 -2.83 -3.23  -0.3280
Cl1 -1.37 -1.78 -3.47  0.6586
O2 -0.97 -0.78 -4.40  -0.3170
O3 -2.59 -2.44 -3.85  -0.3370
O4 -1.60 -1.02 -2.25  -0.4301
N1 1.70 1.04 3.26  0.1318
C1 0.66 1.99 3.24  -0.2867
C2 0.94 3.12 4.04  -0.0103
C3 0.03 4.13 3.97  -0.0666
C4 -1.19 3.92 3.35  -0.0482
C5 -1.32 2.80 2.57  -0.1123
N2 -0.41 1.84 2.50  0.1301
C6 1.83 -0.23 2.76  -0.3087
C7 3.07 -0.85 2.89  -0.0207
C8 3.27 -2.12 2.37  -0.0710
C9 2.20 -2.88 1.95  -0.0576
C10 1.00 -2.16 1.85  -0.1287
N3 0.81 -0.87 2.16  0.1143
H1 2.61 1.54 3.26  0.1410
H2 1.86 3.16 4.57  0.1111
H3 0.18 5.13 4.45  0.1314
H4 -2.00 4.60 3.44  0.0960
H5 -2.23 2.65 2.02  0.0962
H6 3.82 -0.25 3.42  0.1172
H7 4.31 -2.52 2.43  0.1148
H8 2.25 -3.86 1.60  0.0700
H9 0.09 -2.66 1.56  0.0852
O5 2.86 5.42 1.98  0.0720
C11 2.36 4.58 1.26  -0.3004
C12 2.91 3.22 1.00  -0.3224
O6 3.99 2.81 1.41  0.0590
C13 1.79 2.50 0.40  -0.3004
C14 0.64 3.37 0.17  -0.2726
O7 -0.47 2.90 -0.24  -0.1075
C15 1.00 4.71 0.62  -0.2900
O8 0.27 5.71 0.68  0.0476
O9 1.74 1.25 0.30  -0.1210
C16 -3.57 -2.74 1.69  -0.2238
S1 -2.84 -2.32 0.08  0.9115
C17 -2.52 -4.03 -0.53  -0.1929
O10 -1.59 -1.73 0.59  -0.6142
H10 -4.59 -3.11 1.57  0.0506
H11 -3.65 -1.80 2.23  0.0546
H12 -2.88 -3.36 2.21  0.0453
H13 -3.43 -4.58 -0.64  0.0438
H14 -1.87 -4.53 0.20  0.0526
H15 -2.03 -3.88 -1.50  0.0343
O11 5.79 -3.68 -4.17  0.0534
N4 5.34 -2.56 -4.12  -0.3709
~~~
**Assignment**
Set down every line further up that contains the word "and".
**Reply**
Atoms and positions in Å:
Atoms and positions in Å: